Would purple eyes look too uncanny in the series?
Would purple eyes look too uncanny in the series?
Other urls found in this thread:
The yatching thing was real?
1st for the queen of the world
I miss her bros
It's a fantasy series Bernie, you could have gone with them from the get-go.
I think that clip looks cool. Just subtle enough to not look unnatural.
they look unnatural
i'm pretty sure she didn't want to use contact lenses for the whole show, just like Jlaw didn't want to keep getting painted on and asked for a suit in xmen
They look really uncomfortable, and Emilia has already been through so much. I think her natural eyes are just lovely
>Daenerys Targaryen A Queen
>Emilia Clarke Tries 9 Things She's Never Done Before | Allure
>Emilia Clarke Has Lost Her Dragons and Her Spanx l Cover Stars l Glamour
>Emilia Clarke Re-Creates Stock Photos | Vanity Fair
>The First Time with Emilia Clarke | Rolling Stone
>Emilia Clarke Pranks Times Square as Undercover Jon Snow (Game of Thrones) // Omaze
>Emilia Clarke Reads 'Game of Thrones' Fan Theories | ELLE
>Emilia Clarke's Valley Girl Voice
>(GoT) Daenerys Targaryen | Fallen Queen
>Watch: A to Z with Emilia Clarke for Vogue Australia May 2016
>7 years to love
>contact lenses
nigga just change the hue in whatever $20 editing software they use for post production
No, there's no proof whatsoever
Seething gossip roasties
It's a rumor that comes from a hollywood gossip site populated primarily by black women. It runs on the envy of unworthy women
>implying dabbid would pay that much
Some claim that Emilia is the last thing that flashes in your eyes before dying.
>black women jealous of an angelic anglo beauty
Incredibly shocking.
This is what you see when entering heaven
smol roll
Based link user.
They could have edited the eyes instead:
qtest webm
mhmm.. oh yeah... woo hoo hoo
she looks too white and it scares me. was it really too much to ask for a khaleesi of color?
shes so perfect bros :(
I thought russians bullied this idiot out of the internet
Would be the point. Valyrians are meant to have an inhuman type of beauty. One of them giving you a gold glare should unnerve you.
It never gets old, she is so charming.
Roll for anything than 0
Rolling for any emilia, they're all perfect
>anglo beauty
mate i have news for you...
I got banned for posting the version with more alternatives
Cutest mashup!
>purple eyes
grrm is a hack. this is literally anime tier faggotry lmfao
she's back
is2.Yea Forums.org/wsg/1558379720283.webm
>roasties exposed as followers of literally Hitler Dany while bitching about literally Hitler Drumpf
Yeah yeah, she's "mixed" or whatever. The reality is she's white and no black woman could ever compete.
reminder that Emilia herself is the one making these threads
Die faggot, she's a goddess.
There's people with blue hair chilling on some islands as well
What yatching thing?
Emilia is too cute brehs
You only realise now?
>white giant wolf with red eyes
>dragons with different colors and flames
>magic swords
Bases roll poster ending
Gib 00 again
nothing about emilia's acting was natural, so it would fit
Yachting is a term for Z-C list celebrities who need money to supplement their incomes and in order to keep up appearances.
They will go on a yacht typically owned by a millionaire/billionaire and do what said millionaire/billionaire wants. Mostly sexual wants.
Clearly Emilia doesn't need this shit
Dubs and I also post to /ecg/ again
But what the fuck is yatching?
>We will pray
>Pray with me
>We can bring her back
same fucking face in every video
hate her
I think whenever I'm feeling down I'll just be able to look through the 115 pics, gifs and webms in my emilia folder and just feel better
"Yachting" is when actresses or even actors go on Yachts with powerful business men and do whatever they want for favors. The black roastie gossip site claims both Emilia and Sophie have done it.
That's a strange way of spelling pajeet
Pff.. Emilia doesn't have time to shill herself on a incel forum
Whoring for men wealthy enough to own yachts. Apparently a lot of actresses will fly out to Dubai to get drunk on a yacht and shit on an Arab prince's chest. But Emilia is too pure
>he doesn't know about book daario
Too ugly prolly
>t. Emilia
Elizabeth Taylor had naturally purple eyes.
It's very rare but it can happen.
She knows about people posting her on weird sites so It's not impossible
real ashara
You'd have to find someone without bong genetics to play dany then
yeah this shit doesn't fit Emilia, she has like 30+ millions on net worth
i call bullshit
That's what makes it cool fag. ASOIAF is basically a well written anime.
She's too pure for this board of sinners, but I have it on good authority that Kit Harrington is the one who constantly spams that 5'8" isn't short for an adult man
post the moment she stole your heart
>j-jon... why...?
>says penis and masturbate
she's like that girl that keeps shitposting irl but when you try something serious they turn shy as fuck youtu.be
That's a big resolution
I should have been there for her
for you
>Has had multiple dicks inside her
>Gushes over every mega Chad
Keep telling yourself that just because she has a lovable personality
As long as I don't fail here I'm content with my life.
This, I would give anything to be able to save her
Honestly, it was that new yorker article about her aneurysms that got me to see her in a new light. Then she burned all those westerosi scum, then I saw how completely fucking qt she was when other anons started posting pics of her
All the coke in the world won't win her over, Kit
kek good one user
>tfw I finally understand Jorah
Back when people were posting GIFs and WEBMs of her, making fun of her overly expressive eyebrows. I thought it was cute as hell while people were shitting on her.
If our sworn brother Ser Jorah still drew breath, then that manlet bastard would have been cut down where he stood. Grey Worm failed us.
Jorah, the original /ecg/ poster.
She smol tho
Couldn't they have just added it in in post production? It doesn't seem like a ridiculously difficult thing for a studio to do that rendered complete dragons and skeletons. To simply make her eyes purple would have been worth the cost in production and made her seem more interesting, I think.
Let's settle this once and for all:
I want to admire her eyebrows
what about purple skin
She already is a POC, she’s part Indian.
Also, fuck your bait.
Cutest thing I've ever seen. She did nothing wrong.
I always wondered how they make short people tall in tv shows. Do they just use the select tool in photoshop and stretch them up?
>That playful head shake
What does it feel like to have a girl do this to you, Yea Forums?
Nah, it would've been more than fine
>she’s part Indian.
Which you wouldn't be able to tell if she never revealed that herself, fuck off.
No, I always thought the violet eyes thing was a neat concept. Showrunners were just lazy.
i mean, who don't gush over The Goose? she seems pretty pure for me
Is there anyone who can defeat Rinnegan Daenerys?
Obviously brunette
Angles, m8
brunette >>>
but i would accept any Emilia
How smol we talkin?
what is she thinking?
add this to the list user
I love that fatt butt.
Targs are supposed to be the whitest of the white. Using a woman of color would be a terrible casting choice.
Voted brunette. She looks fine blonde but her natural hair color is better.
>Emilia, you will do as I command and marry user and put an end to these ridiculous threads once and for all. I will accept no further discussion on this subject. You will wed him, bed him, and allow him to put a child in you. Surely he's capable of that much. Go. Now.
pick one
5’2 according to her.
imagine if Tywin arranged Dany with Jaime
imagine the kids
Emilia. The other girls are all pretty too, but Emilia has an endearing personality.
Wouldn’t be too hard. Jamie has a thing for frigid blondes.
i prefer blonde girls but for some reason i really like brunette emilia much more
Imagine if she was arranged with me. Imagine the kids
Emilia obviously, far superior
>Surely he's capable of that much
Y-yes my lord....
I saw fan art based on the book years ago and I never realized (because I never read the books) she's meant to be an albino. But there's also this thing with Tyrion's scar and it's supposed to be much worse than the show depicts it. And this happens in some other movies and show also. Basically, the audience doesn't want to see actual freaks. They don't want to feel uncomfortable, they don't want to and maybe can't actually relate to people that are too different from themselves, or at least how they see themselves. They will publicly applaud "unique" but people that are actually different are shunned just as much as they always are.
For me, it's stock photo Emilia
Felicity hit the wall hard, very hard
Tywin wanted Rhaegar for Cersei initially. When Aerys refused he threw a fit and quit his job as Hand.
>m-muh honor!
>stabs an unarmed woman who loves him while she's kissing him
Is this the faggiest move in tv history?
What an absolutely dishonorable cunt.
Emilia a cute!
God I want to stab her to death and beat the absolute shit out of her until I see part of her brain exposed
That smile just lights up my life
Will you donate to her charity, anons?
Some of you guys are alright, don't go to King's Landing tomorrow
I was amazed by how old she looked in some scenes in Rogue One.
already did.
She would break her wrist firing that gun in that position coming out of that roll.
Yes but we all know the average action flick doesn't care about reality.
she could fire a m107a1 single handedly she stronk
>That lewd back
I want to worship her
>2009 Emilia Charity Advert
She clearly realizes how goofy she made it look. Good job though, I'm very impressed by your gun knowledge
did they?
She never looks comfortable doing sexy shots
Is /ourqueen really with us?
How much can she lift?
She always is in our hearts.
I'm trying to not be lewd but I really want to squeeze those thighs so bad.
She said she had to get drunk
>77 posters
>all positive comments
i'm very happy /ecg/ is thriving anons :3
I used to have a thicc gf and would do stuff like this all the time
fuck I'm so lonely now
Glad you're here with us fren
the 40 posters one was because it was too early, i told you
She's perfect
what season is this from? She looks like a total babe
I love you Emilia
What an absolute slag Sansa is
season 7 episode 2 when she talked to olenna on dragonstone.
Based on her outfit, I think season 7.
How am I supposed to return to a normal life after a weekend of /ecg/?
That's asking to be shopped.
That was because he made his son jaime part of the kingsguard, thus disinheriting him from all titles.
Gotta find a way to stay positive. There are other women out there like Emilia. We just gotta find these girls.
Easier said than done, of course.
all this happened around the same time though
>hey you. wanna buy me a drink?
She looks like an elf. Not saying that's bad, just reminds me of LOTR a little
They wanted to make us hate Daenerys because popular female characters have to be selfish cunts for reasons of social engineering (just like white male patriarchs must be either evil or buffoonish).
But a based and tradpilled (yes all Daenerys wanted originally was to be a tradwife with kids in something like the house with the red door) sweet selfless overwhelmingly positive girl was set to be the most popular female character since Mary Poppins and perhaps ever. They couldn't let that happen.
Despite muh strong women she was ruined because she did not serve the purpose of feminist social engineering.
Remember that today probably there will be alot of cuteness from Emilia on The Last Watch
what? go fuck yourself you're a millionaire and I earn minimum wage why don't you fucking buy me a drink how about that
Why didn't you protect her, /ecg/? It was your sworn duty.
It's the wig and the side fringe. Just like legolas
I just want a girl that acts and looks exactly like Emilia, it's not fair
/ecg/ stream when
We will be there together /ecg/ bros
I have my webm maker ready
I'm happy if you are happy emilia
> Implying she has lost any of her cuteness.
A perfect role given her height
Imagine being such a monster that you can't appreciate Emilia's eyebrows.
Emilia wouldn't ask you to buy her drinks when she can easily afford them and you can't... thats other modern feminist women not /ourqueen.
I'm addicted to these threads
same here. i have been cuteposting here all day
God, I love how she's well aware that her eyebrows are like a super power.
Emilia is a goddess and these threads are comfy as fuck.
We know, Ryan. Welcome to /ecg/. She's a real hero.a real human bean.
We all are user, we all are.
Her eyebrows are a miracle of the known universe.
>tfw crushed my squat 1RM while thinking of emilia and /ecg/
I'm starting to believe in God because of her and her eyebrows.
I went from 62kg to 74kg on two weeks on bench press. Maybe this addiction is not all bad after all
No she didn't.
>ywn watch Drive with her
>tfw i keep thinking on her while on gym, it makes the time pass faster
>tfw literally doing for her
>human beans
She really is Yea Forums's girl.
>ywn carry Emilia's two bags through the ariport while she happily chats up paps and you and graciously signs autographs
Same senpai. They're lots of fun though
Congrats on your achievements guys. We're all gonna make it.
i don't lift but the same thing happens when i jerk off. pretty cool huh?
t. faceless man
Should get some caps of her riding into Winterfell, looks good there.
>tfw i'm rewatching all of Dany's scenes in the show just to screencap for more cuteposting
>tfw i'm powering through deadlifts easier imagining her face
>tfw literally using Dany/Emilia as a gym motivator
So this is the true power of /ecg/.
doing the lord's work user. keep it up
we know the /ecg/ motto but what would the House Clarke's motto be?
no more strokes
Gotta worship, there is no other way but to bask in Emilia's light
Keep up all the good work user. We need good men like you in these threads.
House Clarke:
Slogan 1: Fire and cuteness
Slogan 2: Our pics are cute
Slogan 3: Cuteness is coming.
>Wake up feeling like shit
>Remember my shit life
>Suddenly remember comfy /ecg/ exists
mhmm, oh yeah, woo hoo hoo
Doing the Lord of Light's work
Anyone got the pic of her backstage with the key and the red lanyard thing?
i have more than 500 em/dany pics
As I was saying the fact that her character was so positive was the whole reason for the character assassination.
>i have more than 500 em/dany pics
fuck man, i'm slacking. i've only got 144 and some of those are GIFs and WEBMs.
It was all a gimmick, they were just blue
Valyrians are ancient atlantean dragon wizards they're meant to look weird.
I have to admit I smile more since those threads are a thing. I'm not exactly a happy person, in my all-day life.
if they can not be assed with moving a coffee cup or a water bottle think about how many times they would have forgotten to change her eyes to violet
No. I wear purple contacts regularly and nobody really notices.
That tour video is genuinely the best thing to come out of this catastrophe of a season
Same, I mostly lurk and grow my folder.
it's a body double. she only showed bob in the show
Is it not in the links at the top?
Why is she so adorable? Look at that face, that attitude
Is Emilia the new joker, /ecg/ bros
Just cast albinos brah
Isn't. There are some photos of her wearing jeans and the ass size and curves are the same
Dany would only collect dragon type pokemon
post some nudes you faggots
Jews hate the color purple. You know that, user.
she slipped when recording Terminator
S1 is really her, they only used a body double on S6
>calm down, Khaleesi
While it's nice to see Emilia's body, it's a shame she felt she had to do the nude scenes when she didn't want to.
One of these days I will download the entire series and make her eyes purple myself. Then I'll upload to TPB or something. It's not hard, just tedious as fuck.
She didn't like it, but she was new so she had to do it
Damn, you should get paid for that atleast
Upload on some site you may win some ad revenue
>blue board
that's actually a really great movie
What movie?
They call Emilia box poison, but this movie had less than 20m of budget and made 200 million of profit
Me Before You, it's really good
it's weird how her eyes are green but depending on the lightning in the background they somehow change to blue.
Because she's magic
This painting is amazing, probs my new desktop nao.
post more thicc emilia
She hasn't been at all, she's been the best of some moderately successful movies that reviewed mediocre to poor. We're all rooting for her, I know she's gonna be just fine.
She needs to stick to roles appropriate for her personality. Action flicks clearly aren't her thing. I'd really like to see her in a good horror movie, especially now that mainstream critics are more accepting of horror movies.
She's so perfect lads
>Oh gosh this dress is tight user, if I knew any better I'd think you're trying to fatten me up!
>But Emilia is too pure
imagine doing this with thicc Emilia
I wouldn't mind desu
Do you think she has some ancestral urge to shit in the street?
you literally can't prove me otherwise
>Anglo beauty
Man, she is beautiful, but she is definetly an outlier, most english women are fucking ugly
oh my
So whitewashed Iris?
>Bro there is a fantasy element in this fantasy novel what the fuck
Trust me bro, I know. The average English woman is an alcoholic potato with a walnut for a brain.
Clealy Emilia comes from rare genetic stock.
Seeing Emilia cry hurts :(
She has a great smile!
What Yea Forums show should I watch now to fill the void?
move when bump limit
>Gods i was strong then
I want to see emilia in a comedy. Even a TV one would be good, especially if its British and she gets to swear like a trooper
Its so dumb that they didn't do this to her. It would have made her character seem so much more magic.
no one is fucking pure
It was probably a budget constraint on the first season. Now that the budget has inflated to the proportion that it has, they could probably do it. But the first season already set the precedent.
She is in a christimas romcom movie coming this year. Gods i hate romcom movies and christimas movies but i will watch
No, but Emilia would have to put in colored contacts for every scene and that's probably too much fucking work.
I just wanna hug her bros
I was just listening to clips of commentaries on youtube. Emilia isn't in them much, but in her first commentary she said people were assuming she was an elf or something when the show started. Having purple eyes wouldn't have helped in that regard.
she's pure, not innocent
I like that outfit on her. That and the black leather one she gets killed in were her best outfits.
The opposite... shes not pure but unlike modern feminist roasties she retains most of her sweetness and innocence as if the corruption of this world can't wholly touch her spirit.
>never did drugs
>doesn't like dating actors because they're dicks
>refused to go to a party when she got Dany's role, stayed home eating oreos and watching friends
>call people human beans
seems pretty pure to me bruv
>that clavicle
>sweating man intensifies
Watch GoT s1-4 again.
Emilia please take yoyr place on your rightful throne ; my face
Emilia please bully my tiny 7" dick !
That's blue you fucking meme
I like it user
**Unrelated to this article: crystal structures**
<<<
Computed, not measured: an optimized crystal structure of CaCuP2Pd at the GGA-PBE level of DFT.

a b c (Å): 4.092 4.092 9.795
angles (deg): 90.00 90.00 90.00
Space group I-4m2 (No. 119)
One atom of each set of equivalent atoms:
Ca 0.000 0.000 0.000
Cu 0.000 0.500 0.750
P 0.000 0.000 0.386
Pd 0.000 0.500 0.250

Properties
- ΔH_f (0 K): -717 meV per atom
- VASP energy: -5.1390 eV/atom
- DOS(E_F): 0.18 states/eV per atom
- Volume: 16.4 Å³ per atom

Computed, not measured: an optimized crystal structure of AlFeSeBr2 at the GGA-PBE level of DFT.

a b c (Å): 4.988 4.988 5.078
angles (deg): 90.00 90.00 90.00
Space group P4/mmm (No. 123)
One atom of each set of equivalent atoms:
Al 0.000 0.000 0.000
Fe 0.500 0.500 0.500
Se 0.000 0.000 0.500
Br 0.000 0.500 0.000

Properties
- VASP energy: -3.5680 eV/atom
- DOS(E_F): 1.65 states/eV per atom
- Volume: 25.3 Å³ per atom
- Excess energy over the best structure of this formula in the dataset: 0.083 eV/atom
- Raw formation energy: 0.239 eV per atom

Computed, not measured: an optimized crystal structure of DyY12Er2 at the GGA-PBE level of DFT.

a b c (Å): 6.408 6.408 25.113
angles (deg): 90.00 90.00 90.00
Space group P4/nbm (No. 125, origin choice 2)
One atom of each set of equivalent atoms:
Dy 0.250 0.750 0.000
Y 0.066 0.566 0.115
Y 0.081 0.581 0.439
Y 0.250 0.250 0.215
Y 0.250 0.250 0.339
Er 0.250 0.750 0.274

Properties
- ΔH_f (0 K): 348 meV per atom
- VASP energy: -5.7389 eV/atom
- DOS(E_F): 1.44 states/eV per atom
- Volume: 34.4 Å³ per atom

Computed, not measured: an optimized crystal structure of RbSb3Se5 at the GGA-PBE level of DFT.

a b c (Å): 22.289 4.115 12.620
angles (deg): 90.00 90.00 90.00
Space group Pnma (No. 62)
One atom of each set of equivalent atoms:
Rb 0.095 0.250 0.177
Sb 0.059 0.750 0.618
Sb 0.161 0.250 0.828
Sb 0.200 0.250 0.476
Se 0.038 0.250 0.776
Se 0.078 0.250 0.457
Se 0.161 0.750 0.980
Se 0.179 0.750 0.657
Se 0.206 0.750 0.328

Properties
- VASP energy: -3.8851 eV/atom
- Volume: 32.2 Å³ per atom
- Excess energy over the best structure of this formula in the dataset: 0.000 eV/atom
- Raw formation energy: -0.468 eV per atom

Computed, not measured: an optimized crystal structure of Y3Tm5Sc2 at the GGA-PBE level of DFT.

a b c (Å): 9.168 9.169 9.182
angles (deg): 106.62 106.61 115.29
Space group P-1 (No. 2)
One atom of each set of equivalent atoms:
Y 0.026 0.077 0.349
Y 0.178 0.527 0.452
Y 0.228 0.678 0.149
Tm 0.076 0.226 0.051
Tm 0.130 0.378 0.751
Tm 0.326 0.978 0.552
Tm 0.378 0.129 0.250
Tm 0.426 0.276 0.953
Sc 0.280 0.830 0.853
Sc 0.476 0.426 0.650

Properties
- ΔH_f (0 K): 47 meV per atom
- VASP energy: -5.3941 eV/atom
- DOS(E_F): 1.59 states/eV per atom
- Volume: 29.5 Å³ per atom

Computed, not measured: an optimized crystal structure of LiAl2Ga2 at the GGA-PBE level of DFT.

a b c (Å): 7.823 7.823 2.975
angles (deg): 90.00 90.00 90.00
Space group P4/mbm (No. 127)
One atom of each set of equivalent atoms:
Li 0.000 0.000 0.000
Al 0.128 0.372 0.000
Ga 0.169 0.669 0.500

Properties
>>>
Another reason to kill myself
I'd still like her to abuse my face with her fat brapper
>>never did drugs
lmao her brain exploded TWICE due OD